## Input
Entry 1:
The ion C5H6NO with charge -1. Source: OMol25; level of theory: wB97M-V/def2-TZVPD.

Geometry as XYZ:
```
13
Properties=species:S:1:pos:R:3:nbo_charge:R:1
O 3.617 -0.425 -0.104 -0.70
N 2.748 0.534 -0.044 -0.08
C -0.869 0.545 -0.083 -0.19
C 1.464 0.214 0.029 -0.03
C -0.743 -0.771 0.020 -0.21
C 0.409 1.269 0.147 -0.46
C 0.732 -1.098 0.151 -0.48
H 0.505 2.071 -0.616 0.20
H -1.356 -1.635 -0.079 0.19
H 0.336 1.621 1.211 0.18
H 0.872 -1.500 1.166 0.19
H 1.027 -1.826 -0.727 0.20
H -1.780 1.127 -0.156 0.18
```

**Gap between HOMO and LUMO**: 6.122 eV
**E_HOMO**: -2.08 eV
**E**: -8817.3496 eV
**ΔE to the lowest compared entry with this formula, charge and spin**: 0.0 kcal/mol
**Net charge**: -1
**Structure (SMILES)**: [O-]N=C1CC=CC1

Entry 2:
An isolated molecule of C16H15N3O2. Source: OMol25; level of theory: wB97M-V/def2-TZVPD.

Geometry as XYZ:
```
36
Properties=species:S:1:pos:R:3:nbo_charge:R:1
O -0.128 1.506 -0.846 -0.58
O 2.916 0.135 2.250 -0.55
N 1.610 0.776 0.473 -0.51
N -1.655 0.839 1.652 -0.60
N -4.925 -1.541 -1.291 -0.42
C 0.644 0.932 2.608 -0.52
C 2.136 -0.206 -1.687 -0.22
C 1.880 0.560 1.820 0.71
C 3.047 -0.465 -2.695 -0.20
C -0.354 1.473 1.587 -0.14
C -4.869 -2.056 -0.076 0.04
C -1.682 -0.595 1.350 -0.25
C 2.545 0.497 -0.562 0.20
C 3.857 0.932 -0.439 -0.22
C 4.359 -0.038 -2.577 -0.20
C -3.844 -1.791 0.820 -0.26
C 0.348 1.280 0.236 0.69
C -2.879 -0.397 -0.852 -0.27
C 4.761 0.657 -1.449 -0.20
C -2.819 -0.941 0.428 0.01
C -3.949 -0.731 -1.665 0.04
H -4.030 -0.333 -2.668 0.19
H 5.067 -0.246 -3.365 0.22
H -2.107 0.269 -1.210 0.24
H -3.845 -2.236 1.803 0.22
H 0.260 0.046 3.113 0.25
H 1.114 -0.539 -1.776 0.23
H -2.297 1.329 1.038 0.38
H 4.165 1.473 0.441 0.23
H -0.744 -0.921 0.879 0.19
H -1.794 -1.145 2.293 0.20
H -5.687 -2.711 0.192 0.19
H 2.730 -1.007 -3.573 0.22
H 0.906 1.657 3.379 0.25
H 5.783 0.990 -1.353 0.22
H -0.520 2.547 1.724 0.23
```

**Gap between HOMO and LUMO**: 9.969 eV
**E_HOMO**: -9.33 eV
**E**: -25401.5464 eV
**ΔE to the lowest compared entry with this formula, charge and spin**: 0.0 kcal/mol
**Net charge**: 0
**Structure (SMILES)**: O=C1C[C@H](NCc2ccncc2)C(=O)N1c1ccccc1

Entry 3:
An isolated molecule of C4H8N4O2. Source: OMol25; level of theory: wB97M-V/def2-TZVPD.

Geometry as XYZ:
```
18
Properties=species:S:1:pos:R:3:nbo_charge:R:1
O 1.917 -0.083 1.836 -0.61
O -1.463 -1.083 -3.608 -0.64
N 0.905 0.684 3.710 -0.84
N 0.158 -2.034 -2.544 -0.85
N -0.022 0.042 -0.519 -0.42
N -0.207 0.809 1.704 -0.66
C -0.431 0.875 0.345 0.29
C -0.789 -1.087 -2.555 0.64
C 0.956 0.439 2.378 0.78
C -0.452 0.233 -1.879 -0.32
H 0.594 -2.240 -1.653 0.43
H 1.642 0.313 4.290 0.41
H 0.154 1.185 4.160 0.39
H -0.999 1.085 2.270 0.39
H 0.365 0.689 -2.462 0.23
H 0.073 -2.447 -3.566 0.44
H -1.341 0.880 -1.993 0.19
H -1.060 1.741 0.084 0.14
```

**Gap between HOMO and LUMO**: 9.906 eV
**E_HOMO**: -9.49 eV
**E**: -14332.7936 eV
**ΔE to the lowest compared entry with this formula, charge and spin**: 7.1 kcal/mol
**Net charge**: 0
**Structure (SMILES)**: NC(=O)C/N=C/NC(N)=O

Entry 4:
An isolated molecule of C23H23BrN2O5S. Source: OMol25; level of theory: wB97M-V/def2-TZVPD.

Geometry as XYZ:
```
55
Properties=species:S:1:pos:R:3:nbo_charge:R:1
Br 3.608 3.565 0.610 0.08
S 4.304 -2.755 -0.237 2.16
O 4.628 -3.393 1.006 -0.94
O 5.117 -3.036 -1.387 -0.94
O 1.440 -1.107 -0.130 -0.42
O 0.413 1.475 2.056 -0.62
O -5.730 -1.298 1.037 -0.50
N -1.947 2.166 -1.143 -0.46
N 0.439 1.637 -0.192 -0.42
C 0.805 -0.509 0.912 0.16
C -4.803 0.837 0.754 -0.23
C -4.757 -0.527 0.464 0.27
C -2.841 1.246 -0.600 0.23
C 1.208 -2.626 1.486 -0.29
C 0.641 -1.413 1.929 -0.22
C -0.998 1.760 -2.147 -0.22
C 4.225 -0.978 0.020 -0.26
C -1.415 3.220 -0.297 -0.22
C -2.813 -0.115 -0.894 -0.29
C 3.887 0.877 1.487 -0.23
C 4.070 -0.483 1.301 -0.20
C 0.511 0.935 0.965 0.64
C -3.755 -0.990 -0.375 -0.28
C 4.222 -0.148 -1.085 -0.19
C -5.731 -2.677 0.767 -0.25
C -3.874 1.703 0.228 -0.25
C 2.543 -3.184 -0.662 -0.68
C 1.690 -2.388 0.228 0.27
C 3.871 1.706 0.376 -0.06

## Activity
Please work out how many lines further up have the word "and" in them; a number is enough.

## Here it is
6